Bench Press Tips Should You Arch Your Back?
By Lee Hayward
It seems that anytime I write an article about chest training and discuss proper bench press technique I always hit a nerve with some people when I talk about body position and setting up to perform the bench press.
When I explain how to set up for a bench press I tell people to stick your chest out as far as you can by arching your upper back. And retract your scapula by pulling your shoulder blades back together behind you. This is the way you should be positioned when laying down on the bench.
You can see examples of what I mean by this in the pictures below:
In the pics on the left you can see the upper back is relaxed. And in the pics to the right you can see that the upper back is arched and the shoulder blades are pulled back.
The reason for doing this is because it activates the chest muscles to a greater degree. It gives your upper back a solid base on the bench. It reduces excessive shoulder rotation and places them in a safer and more advantageous position for benching.
To sum it up this proper set up targets the major muscles that you want to work, puts you in a stronger position to bench, and it reduces your risk of a shoulder / rotator cuff injury.
Note: if you did a survey of bench press related
injuries you would find that shoulder / rotator cuff
injuries would be number one on the list by far.
However, for a lot of people when ever they hear the words “arch” and “bench press” in the same sentence they automatically cringe.
I get numerous e-mails every week from people saying “you should never arch when benching, it will injure your lower back”. Now I know these people are only trying to help and they mean well. But they are totally missing the point that I’m trying to get across. Maybe I should get out my thesaurus and find a different word other then “arch” as this one brings up so many red lights for people.
There is a ‘right’ and ‘wrong’ way to arch for doing a bench press.
Misplaced crystal structures
- - -
NiPAu2 after structural relaxation, computed with PBE.

Values from the calculation:
The energy of formation from the pure elements comes out at 292 meV per atom. The density of states at the Fermi level is 0.529 states/eV/atom. As for the density: 12882 kg/m3. Its magnetization is 0.000 μB/atom.

```
4
Lattice="3.076 0.353 3.695 1.272 4.626 0.470 -4.341 -2.073 -0.319" Properties=species:S:1:pos:R:3 pbc="T T T"
Au -0.447 2.521 1.117
P 0.455 0.385 2.729
Ni 2.174 2.490 2.082
Au 0.000 0.000 0.000
```

NiP2Au after structural relaxation, computed with PBE.

Values from the calculation:
The energy of formation from the pure elements comes out at 43 meV per atom. The density of states at the Fermi level is 0.328 states/eV/atom. As for the density: 8825 kg/m3. Its magnetization is 0.000 μB/atom. The excess energy over the best structure of this formula in the dataset is 132 meV/atom.

```
4
Lattice="3.282 0.000 0.000 0.000 4.059 0.019 0.000 2.019 4.496" Properties=species:S:1:pos:R:3 pbc="T T T"
Ni 1.641 4.873 3.443
Au 0.000 2.889 2.400
P 1.641 1.427 0.724
P 0.000 3.987 0.223
```

NiPAu2 after structural relaxation, computed with PBE.

Values from the calculation:
The energy of formation from the pure elements comes out at 288 meV per atom. The density of states at the Fermi level is 0.813 states/eV/atom. As for the density: 12828 kg/m3. Its magnetization is 0.000 μB/atom.

```
4
Lattice="3.390 0.000 0.000 0.000 3.390 0.000 0.000 0.000 5.447" Properties=species:S:1:pos:R:3 pbc="T T T"
Ni 1.695 1.695 0.000
P 1.695 1.695 2.723
Au 0.000 0.000 4.105
Au 0.000 0.000 1.341
```

Ni4PAu after structural relaxation, computed with PBE.

Values from the calculation:
The energy of formation from the pure elements comes out at 263 meV per atom. The density of states at the Fermi level is 1.274 states/eV/atom. As for the density: 10038 kg/m3. Its magnetization is 0.001 μB/atom.

```
6
Lattice="4.126 -2.350 0.402 0.461 -4.348 -1.897 2.757 -0.647 -3.833" Properties=species:S:1:pos:R:3 pbc="T T T"
Au 0.000 0.000 0.000
P 1.836 -1.836 -1.332
Ni 2.528 -3.416 -3.530
Ni 3.212 -4.267 -1.415
Ni 4.589 -4.590 -3.329
Ni 4.359 -2.418 -2.382
```

NiPAu2 after structural relaxation, computed with PBE.

Values from the calculation:
The energy of formation from the pure elements comes out at 342 meV per atom. The density of states at the Fermi level is 1.003 states/eV/atom. As for the density: 12544 kg/m3. Its magnetization is 0.074 μB/atom.

```
4
Lattice="0.516 6.873 4.539 -2.462 6.785 4.001 -1.290 5.186 6.289" Properties=species:S:1:pos:R:3 pbc="T T T"
P 0.000 0.000 0.000
Ni -1.618 9.422 7.415
Au -2.429 14.139 11.128
Au -0.808 4.704 3.702
```

NiPAu2 after structural relaxation, computed with PBE.

Values from the calculation:
The energy of formation from the pure elements comes out at 284 meV per atom. The density of states at the Fermi level is 0.375 states/eV/atom. As for the density: 12894 kg/m3. Its magnetization is 0.000 μB/atom.

```
4
- - -
You’ll note in the description I outlined above I said to stick your chest out by arching your upper back and pulling your shoulder blades. We could also use the word “flex” your upper back instead of arch.
For those anti-archers out there please realize, I NEVER EVER recommended anything about “arching your lower back” at all. Arching your upper back is what is important. That’s what rests on the bench, that’s where all the action takes place. You just need to keep your feet solid on the floor and simply maintain the natural curvature in your lower back.
 The Right Way To Arch
 The Wrong Way To Arch
Actually sit up in your chair and do this simple exercise with me right now…
Try to stick your chest out as far as you can, but you have to keep your back totally flat and your shoulders forward…
How did it go? I bet you couldn’t stick your chest out much if any.
Now try to stick your chest out again, but this time pull your shoulder blades back together behind you and “arch your upper back"… Now look down… whoa what’s that? It looks like you got a chest that sticks out further then Dolly Parton’s… well maybe I’m exaggerating a bit here, but you get the point.
You NEED to expand your chest and pull your shoulder blades back in order put your body in the safest and most advantageous position for bench pressing. And in order to do this it requires ‘arching’ or ‘flexing’ your upper back.
If you would like more tips on how to improve your lifting technique and maximize your muscle growth, then check out the newly revised 2008 edition of the “Blast Your Bench” program.
The “Blast Your Bench” program will help you build solid strength and rock hard muscle mass faster than you ever thought possible... In fact by following this proven training system you could literally make better gains in the next few weeks, then most guys make in an entire year.
"Gained 60 lbs. Total On His Max Bench Press"
I bought the Blast Your Bench program last October. I started using your assistant
exercise routine with the bradford press and reverse grip bench for three weeks prior to
starting the program and had already increased my bench by 20 pounds in that short period.
I then started into the actual Blast Your Bench program and I went from maxing out with 305
lbs. to 345 lbs.
Squats have always been a struggle for me ever since I began working out. But I used the
Blast Your Squat routine for three weeks and went from repping out 185 lbs. for 20 reps to
225 lbs. for 20 reps.
I am getting ready to Blast My Bench again here in a couple weeks. I'm really looking
forward to it.
Lee Byerly
Click Here To Download Your Copy Of The "Blast Your Bench" Program...